Tuesday, October 25, 2016

Early fall

/*
# 1
A molecular structure, C3H4N2O3. Source: OMol25; level of theory: the ωB97M-V functional and the def2-TZVPD basis.

Results
relative energy (zero: lowest compared OMol25 entry of this formula, charge and spin): 5.403 eV
charge: 0
energy: -12293.5927 eV
E_LUMO: -0.2813 eV
gap between HOMO and LUMO: 9.59 eV

Last column: Löwdin charge in e.
Element x y z (Å)
1 O -1.27581 -1.07907 -1.34013  0.024
2 O 0.27386 0.20404 1.69161  0.104
3 O -2.00108 -1.22076 0.71067  0.096
4 N -1.31400 -0.79001 -0.16144  -0.314
5 N -1.01909 2.46077 -0.53451  0.202
6 C 1.19593 -0.41441 -0.51647  0.005
7 C -0.44533 1.52933 -0.19254  -0.155
8 C 0.19495 0.36992 0.36667  -0.341
9 H 2.04455 0.14391 -0.75871  0.071
10 H 0.16001 1.03394 2.16914  0.138
11 H 1.52155 -1.29872 -0.06913  0.070
12 H 0.66447 -0.93895 -1.36515  0.102

Atomic forces in eV per Å
-1.1 -0.1 0.7
0.5 0.4 -0.2
-0.3 0.1 0.0
1.9 0.6 0.0
-0.1 0.3 -0.2
-2.3 -0.2 -0.4
0.4 0.5 0.6
-1.2 -3.4 -2.0
1.1 1.0 -0.7
-0.4 0.0 0.1
0.7 -1.1 1.8
0.7 1.8 0.4

=====

# 2
5 unconnected molecules or ions with the total composition C5H15N5O10. Source: OMol25; level of theory: the ωB97M-V functional and the def2-TZVPD basis.

Results
relative energy (zero: lowest compared OMol25 entry of this formula, charge and spin): 1.747 eV
charge: 0
energy: -33338.0385 eV
SMILES: C[N+](=O)[O-].C[N+](=O)[O-].C[N+](=O)[O-].C[N+](=O)[O-].C[N+](=O)[O-]
E_LUMO: -0.3401 eV
gap between HOMO and LUMO: 10.48 eV

Last column: Löwdin charge in e.
Element x y z (Å)
1 O 15.35998 12.89798 -10.48399  0.033
2 O 10.17828 17.25278 -15.29028  0.050
3 O 10.31356 18.64743 -8.67975  0.068
4 O 9.49080 17.36491 -10.26515  0.026
5 O 14.66510 19.77564 -14.07951  0.028
6 O 13.72333 21.78757 -14.18899  0.058
7 O 6.48926 23.63577 -5.14171  0.099
8 O 13.71368 12.40753 -9.08648  0.020
9 O 10.35695 18.07802 -17.25756  0.084
10 O 5.59390 21.80054 -5.49432  0.044
11 N 13.82223 20.64950 -13.71546  -0.400
12 N 9.50052 18.39871 -9.54623  -0.421
13 N 5.78888 22.77782 -4.79942  -0.502
14 N 9.82899 18.01513 -16.17945  -0.467
15 N 14.22318 13.14475 -9.99215  -0.387
16 C 12.99083 20.19974 -12.55895  0.030
17 C 8.34901 19.34956 -9.72449  0.039
18 C 4.85820 22.99022 -3.67215  0.050
19 C 8.75851 18.96610 -15.84764  0.033
20 C 13.50980 14.38878 -10.39711  0.035
21 H 4.24430 23.81188 -4.04107  0.105
22 H 12.78590 19.16191 -12.82165  0.093
23 H 7.92556 18.32165 -15.56659  0.104
24 H 12.62072 14.09875 -10.95702  0.107
25 H 13.45801 20.27812 -11.57727  0.104
26 H 8.48132 20.20248 -9.05882  0.092
27 H 7.41070 18.89695 -9.40383  0.102
28 H 4.29091 22.06130 -3.61396  0.100
29 H 13.29802 14.89391 -9.45472  0.096
30 H 14.20781 15.11586 -10.81212  0.096
31 H 12.01600 20.68543 -12.60279  0.088
32 H 9.11765 19.71654 -15.14339  0.101
33 H 8.37364 19.73422 -10.74407  0.094
34 H 8.48163 19.51750 -16.74619  0.095
35 H 5.42143 23.34132 -2.80752  0.103

Atomic forces in eV per Å
-3.1 0.9 0.9
-0.4 0.2 -0.1
-0.2 -0.2 -0.6
0.2 2.4 1.4
-2.1 2.4 0.5
-0.1 -2.1 0.9
3.2 3.7 -0.2
1.0 2.4 -2.8
0.0 0.1 -0.8
*/
The text goes on:

     Fall and spring last a long time in Maryland. It's just starting to get cool at night here, but Ada and I can still sit out in the garden each morning, as long as I wear a coat. For reference, it's 6C/ 43F right now.
     This is my morning view. I sit on the Adirondack chair that N and I built, Ada keeps watch for Evil Squirrels, and I drink my coffee. In the distance, you can see the pink cosmos, blooming near the back fence. I planted them far too late, but they've managed to bloom like crazy starting in late September.
     The leaves are just starting to come down. I have no trees in my yard, so I only get a few leaves from the neighbors' trees. Since I'm a gardener, I'd actually like to have more leaves than that, to cover my beds and fill my compost pile. This year, I plan to "liberate" many paper bags of leaves that neighbors have left to be picked up be the city, and shred them with my mower. Yesterday, in fact, I found three bags of pine needles, which will be a great mulch for the front garden beds.
     When I get back from Denver, I think it may have turned to cold to keep spending my early mornings outside. But that's all right, because I'll be back in just four or five months. Having relatives in Minnesota, with its six months of winter, makes me extra appreciative of the comparatively balmy seasons here.

Thursday, October 20, 2016


     Several friends have asked a polite version of this question: "You live with a silent a dog and a silent roommate. Why do you need to go somewhere to have a silent retreat?" And this is an excellent question. It is true that on a non-workday I could easily go the whole day without talking. However, I never do so. I phone friends or family, I listen to podcasts, I run errands and talk to the checkout woman. A key part of the silent retreat, for me, is cutting myself off from all electronic devices, people, and music.
     In my planning for this trip, I realized that people retreat for many different reasons. Some people want to meditate, or to practice yoga. I want the chance to think about the direction of my life, and make sure that it continues to be aligned with my values. By sequestering myself in a cottage in the Colorado mountains for three days, I hope to cut off all the distractions that I turn to when I face a hard question. There will be no chores around the house, or extensive cooking. I cannot quickly search for something online, or go have lunch with a friend. My choices will be: think while sitting, or think while hiking. That's it.

Monday, October 17, 2016

Old-fashioned laundry

The highlight of my weekend.
     I am just nerdy enough that the best part of my weekend was hanging out my clothes on my new clothesline. During the last project day, whenever folks were worrying about heatstroke, I sent them down to the basement to work on the secondary project - building clothesline posts. 
     Since I moved in, I've been hanging my wet laundry on a rack, and spreading sheets out on the grass. I really love air-dried laundry: it's cheaper, it's old-fashioned, and it makes the laundry smell nicer. But I just didn't have the time to install proper clotheslines until this fall. My friend N and his boys came over a week ago to help me concrete them into the ground, and now I have 120' (that's 37 meters for my metric friends) of plastic-coated lines to hold all my wet laundry. I'm so pleased.

Monday, October 10, 2016

Happy Ada Lovelace Day

**Between two parts of the article: molecular data:**
A 9-piece molecular cluster, C40H66BrFIN9O4P overall. Source: the OMol25 dataset; level of theory: ωB97M-V/def2-TZVPD.

## Properties
HOMO energy: -3.863 eV
M: 993.8 g/mol
E_tot: -154277.318 eV
orbital gap: 5.611 eV
charge: -1

XYZ file:
```
123
Properties=species:S:1:pos:R:3:forces:R:3:lowdin_charge:R:1
C 0.05364 -0.68305 3.44014 0.1 1.7 -0.7 -0.107
C 0.06247 0.36044 2.37004 -1.1 -2.5 2.4 -0.239
P 1.30774 0.43744 0.90179 -1.6 1.5 1.7 0.526
C 2.82633 0.43124 2.12174 1.7 -0.8 1.2 -0.274
C 2.98477 1.85840 2.94318 0.3 -2.1 1.0 -0.168
F 4.11215 2.62724 2.34034 -2.2 -0.8 0.8 -0.177
C 2.53411 0.95293 -0.46966 1.1 0.5 -2.3 -0.241
C 3.20929 -0.28880 -1.30100 -2.6 1.8 -7.5 -0.609
O 2.92662 -0.36558 -2.63142 2.0 -0.1 8.4 -0.165
Br 4.44916 -1.68043 -0.57392 -0.9 1.1 -0.3 0.621
O 1.31159 -1.28830 0.59802 -2.8 -1.8 -1.3 -0.264
C -0.05139 -1.79812 0.23036 -1.2 3.1 2.4 -0.246
O -0.10720 -3.14532 -0.42870 -1.6 -2.3 3.9 -0.060
C -0.68872 -4.04212 0.62491 -0.9 -2.4 5.6 -0.137
N -1.08362 -4.70605 1.68699 3.4 5.7 -9.7 0.106
C -0.83861 -0.54752 -0.54369 0.0 -1.4 -0.9 -0.316
C -2.41951 -0.79318 -0.18645 -0.8 0.4 0.4 -0.149
C -3.46682 0.21070 -0.95375 -0.3 0.5 0.4 -0.291
C -5.01304 -0.10224 -0.48436 1.0 -1.6 -1.3 -0.638
I -5.33542 0.77352 1.51830 -0.1 -0.4 -1.1 0.638
C -0.79736 -0.81218 -2.19075 0.9 1.0 -0.8 -0.099
C -0.51775 0.61019 -3.01931 0.5 -0.4 0.2 -0.181
C -0.83660 0.46427 -4.62263 -0.5 -0.1 0.3 -0.208
C -0.57523 1.83062 -5.50048 0.2 -0.2 0.5 -0.206
C 0.94343 2.44205 -5.37766 0.1 0.8 0.4 -0.201
C 0.94427 4.05365 -4.96178 0.2 0.0 0.1 -0.214
C 1.08628 4.31608 -3.34955 0.1 -0.2 0.8 -0.218
C 0.08941 5.48766 -2.76239 -0.4 -0.1 0.4 -0.213
C -1.41864 4.83402 -2.55049 0.9 -0.7 0.1 -0.203
C -1.47626 3.94458 -1.16895 -0.1 0.7 0.2 -0.228
C -1.65580 4.84043 0.20568 -0.2 -0.7 0.2 -0.246
C -2.18195 3.84758 1.42539 0.2 0.1 -0.1 -0.145
O -0.17247 0.69939 -0.04513 -1.4 -3.2 -2.8 -0.324
H -0.46724 -1.72425 3.31992 2.6 1.3 -0.3 0.044
H 0.58143 -0.40200 4.45484 -2.6 -0.4 -1.3 0.034
H -0.74368 1.21061 2.45255 2.8 -0.5 0.6 0.058
H 1.19086 1.88777 1.10579 0.1 -0.3 -0.1 0.046
H 3.85841 0.28224 1.54094 -2.2 0.4 1.3 0.058
H 2.77928 -0.49079 2.87854 0.0 2.2 -1.5 0.094
H 1.98913 2.46399 3.05117 2.2 -0.8 -0.7 0.108
H 3.34440 1.56090 4.03514 -0.5 0.9 -2.2 0.107
H 1.91996 1.61452 -1.25080 1.5 -1.8 1.3 0.091
H 3.36482 1.69658 -0.04270 -1.7 -2.0 -0.7 0.111
H -0.81196 -1.98742 1.13087 2.4 0.7 -1.2 0.123
H -2.67791 -1.90337 -0.51352 0.6 2.2 0.6 0.127
H -2.66689 -0.71076 0.97332 0.8 -0.1 -2.3 0.104
H -3.22698 1.31993 -0.61548 -0.3 -2.3 -0.9 0.082
H -3.44933 0.10855 -2.12971 0.2 0.3 2.5 0.066
H -5.07723 -1.28486 -0.33667 -0.2 2.7 -0.2 0.025
H -5.81219 0.26213 -1.28761 1.7 -0.6 2.1 0.055
H -1.79253 -1.31026 -2.59012 2.0 1.1 1.0 0.113
H 0.08459 -1.53017 -2.47676 -1.6 1.3 0.6 0.114
H -1.11243 1.47327 -2.48868 1.0 -1.6 -1.3 0.100
H 0.62563 0.85826 -2.88559 -2.3 -0.5 -0.2 0.074
H -1.98385 0.20261 -4.73230 2.3 0.4 0.2 0.083
H -0.21841 -0.45276 -5.05097 -1.2 1.9 0.8 0.120

In honor of Ada Lovelace Day (Tuesday, Oct. 11), here's a picture of her namesake. The day is an international celebration of women in STEM (science, technology, engineering, and mathematics). So, you know, go cheer on a female scientist. Or help your kid learn about how electricity makes light bulbs turn on or how to program a loop.
Ada's favorite activity, right after eating doggy bacon.

Monday, October 03, 2016

My days, in numbers

     I have always been prone to introspection, but in the past few years I have become more serious about it. One of the books I was reading on the science of what makes us happy suggested tracking activities. I loved this idea. I already consider whether, in general, what I do aligns with what I value, but this lets me examine things on a more fine-grained detail.
     I tracked all of my time for roughly two weeks, one in the spring and one in the fall, down to the nearest 15-minute interval. I categorized them and made this pretty graph. The only things not displayed are sleep and work, which I felt I could safely remove from analysis: I am almost always well-rested and I almost always limit my work week to the 37.5 hours workweek my company keeps.

Hours logged during 14 days
     A few things I notice right away- I'm spending the most time on things I really love - DIY and friends. Also, since I hate to clean, I have streamlined my household to minimize cleaning and I'm really pleased with that number. I'm outside a lot, because being outside is captured in half of the DIY, most of the pets (walking Ada), and "Outside", which is what I call my morning routine of drinking coffee and reading comics outside every morning. I am sort of astounded at how much time I'm spending on laundry for one person.
     This graph is really just preparation for a silent retreat I'll be taking this fall. I'm planning the retreat myself, and I knew I wanted to head in with a good understanding of how I spend my time and how I spend my money. I'm not quite sure what I'll be doing with my time when I get there, though, so if anyone has good suggestions on how to examine your life in three days, please send suggestions my way.